How Corporate Cost-Cutting Makes People Invisible
A Dialog Between Quincy and Arthur
Q. It is January 2011. There is talk about the economy improving because the largest companies in the United States are going to report greater profits. Does that mean that those without jobs will soon be getting back to work?
A. That would be good news, but it is simply not so.
Q. Why not?
A. Because greater profits more often than not mean the company has saved on costs. And what are costs? Perhaps the greatest cost factor generally is the cost of labor. When companies save on the "cost of labor," it simply means they spend less money on salaries and wages. And that means fewer people, both blue and white collar, earning less money.
Q. Yes, it is hard to see how the economy is improving when people have fewer jobs and get paid less. It just does not make sense that when corporations are earning more, people are not better off. Where does the money go that is earned?
A. While some of the earnings translate into dividends for investors, a greater part goes to the top of the company and to its cost-saving base. It is no secret that every year company executives, whether in sectors like banking, insurance or manufacturing give themselves huge sums in salaries and bonuses.
Q. What about that money going to the bottom? Doesn't the staff at the middle and at the bottom also benefit?
A. Well, it depends how you define "staff at the middle and bottom." In a traditional American corporation it meant skilled and unskilled blue collar workers and white collar staff from middle management on down. The salary schedule would be somewhat standardized as the pay at one company would be roughly the same for the same tasks as that of other companies. For a company to remain reasonably profitable, management would strive for reasonable compensation at all levels.
Q. That sounds like everybody would be kept happy, so where is the problem?
A. The problem lies with top management. Ideally, the mission of a business is to serve society through whatever its product or services are while making a profit doing so. In this process small companies are like families, larger companies are like communities ranging from small towns to large cities and so on. Whatever the nature of the community there is a greater or lesser connection between those on top with those at the middle and the bottom. Ideally there is a measure of respect for a person at one level for anyone at any other level.
Q. Looks like you are painting an idyllic picture. So what can go wrong?
A. Communities fail when their members become confused about their priorities. With a business operation two main priorities are contributing to society with products or services on the one hand and earning enough money to keep the business viable. Where decades ago the two elements were somewhat balanced, it is no secret that today making money far outweighs any other priority. So one of the quickest ways for management to increase earnings is to cut as much of the funds going to the middle and lower strata of its workforce.
Q. So how do corporations manage? Wouldn't operations simply break down if most of the workforce were eliminated?
-- Data records, as found in the file --
Entry 1:
Below is the molecule C3H5NOS, with properties calculated with ωB97M-V with the def2-TZVPD basis set.

Last column: Mulliken charge in e.
Geometry (Å):
C 1.1460 0.8204 0.8661  -0.7769
C -0.3359 0.7287 0.9692  0.0994
N -1.1424 0.1614 0.1772  -0.4672
O -0.3866 -0.2517 -0.9905  -0.0878
C -0.8135 -1.3219 -1.6129  0.0189
S -1.9608 -2.4155 -1.2801  -0.2584
H 1.5154 -0.2081 0.8624  0.2594
H 1.5337 1.3147 1.7867  0.2984
H 1.4270 1.3827 -0.0236  0.2661
H -0.8442 1.2396 1.7873  0.3962
H -0.1388 -1.4503 -2.5419  0.2518

The SMILES is C/C=N\OC=S. The HOMO energy is -8.66 eV. Its spin multiplicity is 1. The largest force on an atom is 0.04785 Eh/bohr. As for the net charge: 0.


Entry 2:
Below is the molecule C3H5NOS, with properties calculated with ωB97M-V with the def2-TZVPD basis set.

Last column: Mulliken charge in e.
Geometry (Å):
N 1.0934 0.8207 -1.7015  -0.3855
C 0.8956 -0.5044 -1.5415  0.2384
C 0.2565 -1.2239 -0.5773  -0.6838
C -0.3362 -0.6623 0.6868  0.5448
O -0.5887 -1.2881 1.6713  -0.5038
S -0.7106 1.1585 0.7094  -0.3614
H 1.8749 1.0942 -2.3205  0.2493
H 0.8998 1.4820 -0.9284  0.1213
H 1.1469 -1.1038 -2.4144  0.2963
H 0.2027 -2.2995 -0.6292  0.3013
H -0.5937 1.1952 2.0745  0.1832

The SMILES is N/C=C\C(=O)S. The HOMO energy is -8.95 eV. Its spin multiplicity is 1. The largest force on an atom is 0.03739 Eh/bohr. As for the net charge: 0.


Entry 3:
Below is the molecule C3H5NOS, with properties calculated with ωB97M-V with the def2-TZVPD basis set.

Last column: Mulliken charge in e.
Geometry (Å):
C -0.7334 0.2892 -1.6109  -0.9363
C -0.5427 -0.0414 -0.0918  0.6923
O -1.5183 -0.1996 0.6644  -0.5749
C 0.8022 -0.1509 0.5918  0.1679
N 0.7472 -0.2210 1.9424  -0.3223
S 2.1546 -0.0650 -0.3118  -0.3308
H 0.1368 -0.1405 -2.1918  0.3207
H -0.8681 1.3392 -1.9387  0.2712
H -1.6103 -0.3176 -1.9233  0.2823
H 1.5544 -0.3786 2.4778  0.1966
H -0.1223 -0.1138 2.3920  0.2332

The SMILES is CC(=O)C(N)=S. The HOMO energy is -8.79 eV. Its spin multiplicity is 1. The largest force on an atom is 0.05897 Eh/bohr. As for the net charge: 0.


Entry 4:
Below is the molecule C3H5NOS2, with properties calculated with ωB97M-V with the def2-TZVPD basis set.

Last column: Mulliken charge in e.
Geometry (Å):
C -0.1373 2.0822 2.1469  -0.7693
S -0.8606 0.6825 0.9345  0.0721
N 0.5487 0.2817 0.0616  -0.3136
C 0.5564 -0.4584 -1.0654  -0.4956
C -0.3552 -1.5484 -1.4445  0.8280
O -1.3566 -1.7554 -0.8257  -0.4850
S 0.5611 -2.5221 -2.6937  -0.2460
H 0.7147 1.5906 2.6352  0.2632
H 0.1799 3.1945 1.8352  0.2649
H -0.9852 2.3307 2.7211  0.3122
H 1.4152 -0.2593 -1.5898  0.3964
H -0.2813 -3.6187 -2.7154  0.1725

The SMILES is CS/N=C\C(=O)S. The HOMO energy is -8.85 eV. Its spin multiplicity is 1. The largest force on an atom is 0.10261 Eh/bohr. As for the net charge: 0.


Entry 5:
Below is a structure of composition C3H5NOS2, with properties calculated with ωB97M-V with the def2-TZVPD basis set.

Last column: Mulliken charge in e.
Geometry (Å):
C 1.5031 0.4280 -1.5588  0.6848
A. Yes, companies cannot survive without a workforce. But at this point in history, an American company can do without an American workforce. At this point you might have guessed how top management keeps operations going without paying the kind of salaries middle and working class Americans are used to.
Q. Well, it's obvious. They simply send the high-paying jobs overseas to China or India, right?
A. That's it--exactly. If you want get your work done cheaper, you outsource. There is nothing easier.
Q. But isn't there an obstacle to laying off practically an entire workforce, how can top management simply get rid of people who have worked loyally for years and years?
A. It is difficult if there is a sense of community within a firm, but there is none. If there is a sense of community, those who have the power to hire and fire hesitate to visit economic disaster upon people they know and feel close to. But with most of today's corporations upper management functions within a gated community, and those who are outside the gates are considered nothing more than a cost factor.
Q. Strange--what does this lead to? What happens when human beings are nothing more than cost factors?
A. There is a major psychological shift. As long as a person is seen as a human being, he or she benefits from a cultural value system: Thou shalt not steal, nor lie , nor above all not kill. But as long as someone is nothing but a cost factor, he can be annihilated quite easily because costs are there to be cut.
Q. So any idea of how many formerly employed humans who were eliminated as "cost factors" there in the U.S.?
A. The official figure is around thirteen million, but it is probably a lot higher because long-term unemployed are no longer part of the statistics.
Q. So what happens to all these people?
A. Some try their very best to get back to work in their area of expertise--if there is nothing where they can apply their skills, they become willing to accept any job whatsoever. If they can't get any kind of job at all, their new economic reality pushes them into becoming invisible.
Q. Hmmm, why invisible?
A. A job or any valid source of income provides dignity. Having neither job nor income brings with it a sense of shame for being seen as someone who cannot function in life. The jobless/incomeless person tends to keep his lack of wherewithal under wraps to avoid embarrassment. More often than not the need to become invisible is met through a life of seclusion.
Q. So what does that mean?
A. Someone whose identity has been annihilated because he was no more than a cost factor that has been cut will have to find a new path in life.
Q. How do you do that? Is there a formula?
A. There is no formula and there is no easy answer. One may look for a clue in two words adopted from the collapse of the Soviet Union: glasnost and perestroika...